Laura Antillano
Laura Antillano was born in Caracas, Venezuela in 1950. She studied literature at the Universidad del Zulia, where she later became a lecturer in children’s literature and director of the university’s puppet theatre. In the early seventies she spent time in Italy and Chile, then in the USA.
Since her début, “La bella Època” (1969; t: The Belle Epoque), she has published a further seven volumes of short stories. In addition to that, Antillano has written four novels, several books for children and young adults, two poetry anthologies and screenplays for film and television. In her narrative work Antillano deals with the connections and the rifts between individual and collective memories and identities, especially those of women.
Eleven years after “La muerte del monstruo come-piedras” (1971; t: The death of the stone-eating monster), her second novel “Perfume de gardenia” (1982; t: Gardenia perfume) followed, Antillano’s first historical novel. It tells of a young writer who looks into her mother and grandmother’s histories, reconstructing a female genealogy of Venezuela. The novel “Solitaria Solidaria” (1990; t: The solidary solitary) again presents a female character in search of historical traces: in some archives, a university lecturer finds the notes of a rebellious woman who lived and wrote in the late nineteenth century. While reading these journals, the protagonist stumbles on the unofficial and forgotten history of her country and at the same time reflects on her own life. A female tradition is once more created � and the two voices eventually fuse into one. Her most recent novel, “Las aguas tenían reflejos de plata” (2002; t: The waters sparkled silver) also focuses on the country’s history: it tells the story of a Venezuelan family in in the late eighteen hundreds.
The author has been awarded many prizes in her home country, including in 1977 a prize by the newspaper “El Nacional” for her story “La luna no es pan de horno” (t: The moon isn’t oven bread). She was in fact the first female recipient of the prize. In 1987, Antillano won the prize for best scriptwriter in the children’s and young people’s film category in the Mérida Film Festival for “Con cierto corazón”. Her poetry anthology “Migajas” (2004; t: Bread crumbs) was praised at the 2004 biannual José Rafael Pocaterra Literature Festival.
Laura Antillano currently has a regular column in the newspaper “Notitarde”, works for a radio programme, and lectures in Venezuelan literature at the University of Carabobo. She regularly holds writing courses and, with the Centro Nacional del Libro and the Casa Nacional de las Letras Andrés Bello, prepares the yearly meeting of literature for children and young people. Antillano lives in Valencia, Venezuela
© international literature festival berlin
La bella época
Monte Avila
Caracas, 1969
La muerte del monstruo-come-piedra
Monte Avila
Caracas, 1970
Haticos casa no. 20
Dirección de Cultura de la Universidad del Zulia
Maracaibo, 1975
Un carro largo se llama tren
Monte Avila
Caracas, 1975
Cuentos de película
Publicaciones Seleven
Caracas, 1985
Dime si adentro de ti no oyes tu corazón partir
Caracas, 1983
La luna no es pan de horno
Monte Avila
Caracas, 1987
Solitaria Solidaria
Caracas, 1990
¡Ay! que aburrido es leer: el habito lector y el cuento de la infancia
Universidad de Carabobo
Maracaibo, 1991
Jacobo ahora no se aburre
La Letra Voladora
# Someone pasted crystal structures at this point
=====
Record 1
# Sc2TaCr

Sc2TaCr after structural relaxation (GGA-PBE, Alexandria).

Computed properties:
Spin magnetization, μB per formula unit: 2.867
Crystal system: trigonal
Volume, Å³ per atom: 20.53
ΔE_f, eV/f.u.: 2.20

Cell lengths 3.0520, 3.0520, 30.5388 Å; angles 90.00, 90.00, 120.00 degrees
Space group R-3m (No. 166, hexagonal axes)
Unique sites:
Sc (0.0000, 0.0000, 0.0871) (multiplicity 6)
Ta (0.0000, 0.0000, 0.5000) (multiplicity 3)
Cr (0.0000, 0.0000, 0.0000) (multiplicity 3)


Record 2
# B5H2Pt12

B5H2Pt12 after structural relaxation (GGA-PBE, Alexandria).

Computed properties:
Spin magnetization, μB per formula unit: 0.000
Energy, eV per atom: -6.02
Crystal system: monoclinic
Volume, Å³ per atom: 12.62

Cell lengths 11.3714, 5.6067, 8.1991 Å; angles 90.00, 113.41, 90.00 degrees
Space group C2/m (No. 12)
Unique sites:
B (0.0000, 0.0000, 0.0000) (multiplicity 2)
B (0.1834, 0.5000, 0.8560) (multiplicity 4)
B (0.2374, 0.5000, 0.4853) (multiplicity 4)
H (0.0000, 0.2064, 0.5000) (multiplicity 4)
Pt (0.0454, 0.5000, 0.2691) (multiplicity 4)
Pt (0.0714, 0.0000, 0.2951) (multiplicity 4)
Pt (0.1438, 0.2543, 0.0369) (multiplicity 8)
Pt (0.1609, 0.2518, 0.6266) (multiplicity 8)


Record 3
# PrDyLuSc

PrDyLuSc after structural relaxation (GGA-PBE, Alexandria).

Computed properties:
Spin magnetization, μB per formula unit: 0.000
Crystal system: cubic
Volume, Å³ per atom: 30.39
ΔE_f, eV/f.u.: 0.37

Cell lengths 7.8632, 7.8632, 7.8632 Å; angles 90.00, 90.00, 90.00 degrees
Space group F-43m (No. 216)
Unique sites:
Pr (0.0000, 0.0000, 0.0000) (multiplicity 4)
Dy (0.0000, 0.0000, 0.5000) (multiplicity 4)
Lu (0.2500, 0.2500, 0.7500) (multiplicity 4)
Sc (0.2500, 0.2500, 0.2500) (multiplicity 4)


Record 4
# K2VHgSe4

K2VHgSe4 after structural relaxation (GGA-PBE, Alexandria).

Computed properties:
Spin magnetization, μB per formula unit: 1.000
Energy, eV per atom: -3.95
Crystal system: orthorhombic
Volume, Å³ per atom: 32.07

Cell lengths 6.2514, 13.6363, 24.0779 Å; angles 90.00, 90.00, 90.00 degrees
Space group Fddd (No. 70, origin choice 2)
Unique sites:
K (0.1250, 0.1250, 0.3083) (multiplicity 16)
V (0.1250, 0.1250, 0.6250) (multiplicity 8)
Hg (0.1250, 0.1250, 0.1250) (multiplicity 8)
Se (0.0867, 0.2722, 0.8169) (multiplicity 32)


Record 5
# Cs2NaHg

Cs2NaHg after structural relaxation (GGA-PBE, Alexandria).

Computed properties:
Spin magnetization, μB per formula unit: 0.001
Crystal system: tetragonal
Volume, Å³ per atom: 58.37
ΔE_f, eV/f.u.: -0.33

Cell lengths 4.8620, 4.8620, 9.8770 Å; angles 90.00, 90.00, 90.00 degrees
Space group P4/mmm (No. 123)
Unique sites:
Cs (0.0000, 0.0000, 0.2269) (multiplicity 2)
Na (0.5000, 0.5000, 0.5000) (multiplicity 1)
Hg (0.5000, 0.5000, 0.0000) (multiplicity 1)


Record 6
# BaPmHgSb

BaPmHgSb after structural relaxation (GGA-PBE, Alexandria).

Computed properties:
Spin magnetization, μB per formula unit: 0.000
Energy, eV per atom: -3.37
Crystal system: cubic
Volume, Å³ per atom: 32.22
=====
Maracaibo, 1991
Tuna de mar
Caracas, 1991
Diana en la tierra Wayúu
Santafe de Bogota, 1992
Dime si dentro de ti no oyes a tu corazón partir
Caracas, 1992
Perfume de gardenia
La letra voladora
Valencia (Venezuela), 1996
Una Vaca Querida
CIDCLI : Consejo Nacional para la Cultura y las Artes
Mexiko, 1996
Apuntes sobre literatura para niños
Ed. del Gobierno de Carabobo
Valencia, 1997
De la escuela salen los caminos
El caimán ilustrado
## Crystal structures that have nothing to do with the page
# HfThFe2H6 | Alexandria via LeMat-Bulk | PBE | optimized geometry
# space-group type = R-3m
# electronic total energy = -5.852 eV per atom
data_HfThFe2H6
_chemical_formula_sum 'Hf1 Th1 Fe2 H6'
_symmetry_space_group_name_H-M 'P 1'
_symmetry_Int_Tables_number 1
_cell_length_a 4.410
_cell_length_b 4.410
_cell_length_c 5.969
_cell_angle_alpha 68.32
_cell_angle_beta 68.32
_cell_angle_gamma 60.00
loop_
_symmetry_equiv_pos_as_xyz
'x,y,z'
loop_
_atom_site_label
_atom_site_type_symbol
_atom_site_fract_x
_atom_site_fract_y
_atom_site_fract_z
Hf1 Hf 0.500 0.500 0.500
Th1 Th 0.000 0.000 0.000
Fe1 Fe 0.787 0.787 0.638
Fe2 Fe 0.213 0.213 0.362
H1 H 0.073 0.559 0.810
H2 H 0.559 0.073 0.810
H3 H 0.441 0.441 0.190
H4 H 0.927 0.441 0.190
H5 H 0.441 0.927 0.190
H6 H 0.559 0.559 0.810

~~~~~

[1]
4
Lattice="5.125 0.009 -0.010 4.104 3.070 -0.010 1.575 0.526 4.860" Properties=species:S:1:pos:R:3 comment="YCr2Au, relaxed, DFT PBE-GGA" dos_ef_per_ev_cell=4.4 polymorph_energy_mev_per_atom=276.2 total_energy_ev_per_atom=-6.930 pbc="T T T"
Au 2.701 0.901 1.210
Cr 5.335 1.780 1.845
Y 8.103 2.704 3.629
Cr 9.296 3.102 0.554

***

[2]
4
Lattice="5.180 -0.002 -0.006 -2.514 5.141 0.006 0.152 0.966 3.003" Properties=species:S:1:pos:R:3 comment="YCr2Au, relaxed, DFT PBE-GGA" dos_ef_per_ev_cell=4.0 polymorph_energy_mev_per_atom=407.5 total_energy_ev_per_atom=-6.799 pbc="T T T"
Cr 0.000 0.000 0.000
Au 1.333 2.570 0.000
Y -1.181 3.054 1.505
Cr 2.666 0.482 1.499

***

[3]
4
Lattice="-1.304 0.172 4.587 -2.874 -3.362 1.791 1.715 -3.206 3.090" Properties=species:S:1:pos:R:3 comment="YCr2Au, relaxed, DFT PBE-GGA" dos_ef_per_ev_cell=3.3 polymorph_energy_mev_per_atom=31.3 total_energy_ev_per_atom=-7.175 pbc="T T T"
Cr 0.000 0.000 0.000
Cr -0.616 -1.599 2.367
Au -1.231 -3.198 4.734
Y -1.847 -4.796 7.101

***
Valencia, 1999
La Palmera Luminosa
El caimán ilustrado
Valencia, 1999
Las aguas tenían reflejos de plata
Caracas, 2002
El otro, el mismo
Mérida, 2004
El verbo de la madre : obra poética
El Otro, El Mismo
Mérida, 2005
Once cuentan en sábado
Universidad de Carabobo
Venezuela, 2005
• Attached: records of crystals:
{"formula": "Tl2PIr", "functional": "PBE", "state": "relaxed", "de_polymorph_kj_per_mol_atoms": 77.28, "volume_a3_per_atom": 20.1, "dos_at_fermi_per_ev_cell": 1.73, "formation_enthalpy_0k_ev_per_atom": 0.716, "lattice": [[4.6655, 0.0000, 0.0000], [0.0000, 4.4524, 0.0000], [0.0000, 0.0000, 3.8619]], "species": ["Ir", "P", "Tl", "Tl"], "fractional_positions": [[0.5000, 0.0000, 0.5000], [0.0000, 0.5000, 0.5000], [0.0000, 0.0000, 0.0000], [0.5000, 0.5000, 0.0000]]}

{"formula": "Tl2PIr", "functional": "PBE", "state": "relaxed", "de_polymorph_kj_per_mol_atoms": 0.00, "volume_a3_per_atom": 26.0, "dos_at_fermi_per_ev_cell": 4.15, "formation_enthalpy_0k_ev_per_atom": -0.085, "lattice": [[-1.7710, -2.9671, -7.3619], [-4.8522, -3.9888, -5.1655], [-4.6319, -0.3780, -6.6738]], "species": ["Ir", "P", "Tl", "Tl"], "fractional_positions": [[0.4583, 0.4583, 0.4583], [0.7915, 0.7915, 0.7915], [0.0244, 0.0244, 0.0244], [0.2259, 0.2259, 0.2259]]}

Short version: magnetization = 0.00, 0.00 μB per cell, in the order given.
Short version: uncorrected energy = -4.04, -4.84 eV per atom, in the order given.
• So much for the records of crystals:
Übersetzer: Sabine Giersberg